Pedal, Paddle, Pedal (Mountain Biking & Packrafting Combo)
-- begin --
A plane-wave DFT calculation with PBE with a Hubbard U was carried out for a geometry-optimized Co3P4O16 structure.

Geometry as extended XYZ:
```
23
Lattice="5.118 0.000 0.000 0.288 7.758 0.000 0.574 0.656 7.783" Properties=species:S:1:pos:R:3 pbc="T T T"
O 3.182 1.619 6.090
P 2.954 2.950 5.369
O 4.824 7.243 7.315
O 1.526 2.914 4.730
O 2.928 6.957 1.842
O 5.323 5.434 5.942
Co 3.794 5.572 7.102
Co 2.591 0.245 0.134
O 4.009 3.088 4.267
O 3.756 1.600 0.862
O 1.005 1.019 0.512
O 1.992 5.145 3.299
O 0.525 2.960 1.995
O 3.144 4.514 1.099
O 4.869 0.589 2.728
O 2.881 4.142 6.372
P 5.136 1.583 1.578
Co 0.460 4.018 3.663
O 2.222 6.740 7.028
P 3.109 5.514 2.319
O 4.498 5.409 3.020
P 0.861 6.850 6.267
O 0.989 7.775 5.102
```

Summary:
Crystal system ... triclinic
Energy with MP2020 corrections ... -7.190 eV/atom
ΔE to the lowest computed polymorph ... 52 meV per atom
Density ... 2.99 g/cm³
Total moment ... 0.6368 μB per atom
SG ... No. 1

=====

[1]
Computed, not measured: a geometry-optimized TmFe5P3 structure at the PBE level of DFT.

* energy of formation from the pure elements: -0.751 eV/atom
* crystal system: orthorhombic
* uncorrected energy: -0.57024 Ry/atom
* magnetic moment: 1.47 μB/f.u.

Lattice parameters (Å, degrees): 11.7424 3.6307 10.2245 90.00 90.00 90.00
Positions (direct):
Tm 0.2048 0.2500 0.0813
Tm 0.2952 0.7500 0.5813
Tm 0.7048 0.2500 0.4187
Tm 0.7952 0.7500 0.9187
Fe 0.0101 0.7500 0.0945
Fe 0.0124 0.7500 0.7069
Fe 0.0672 0.7500 0.4633
Fe 0.1763 0.2500 0.7806
Fe 0.2001 0.2500 0.3773
Fe 0.2999 0.7500 0.8773
Fe 0.3237 0.7500 0.2806
Fe 0.4328 0.2500 0.9633
Fe 0.4876 0.2500 0.2069
Fe 0.4899 0.2500 0.5945
Fe 0.5101 0.7500 0.4055
Fe 0.5124 0.7500 0.7931
Fe 0.5672 0.7500 0.0367
Fe 0.6763 0.2500 0.7194
Fe 0.7001 0.2500 0.1227
Fe 0.7999 0.7500 0.6227
Fe 0.8237 0.7500 0.2194
Fe 0.9328 0.2500 0.5367
Fe 0.9876 0.2500 0.2931
Fe 0.9899 0.2500 0.9055
P 0.1054 0.7500 0.8992
P 0.1136 0.2500 0.5787
P 0.1295 0.7500 0.2658
P 0.3705 0.2500 0.7658
P 0.3864 0.7500 0.0787
P 0.3946 0.2500 0.3992
P 0.6054 0.7500 0.6008
P 0.6136 0.2500 0.9213
P 0.6295 0.7500 0.2342
P 0.8705 0.2500 0.7342
P 0.8864 0.7500 0.4213
P 0.8946 0.2500 0.1008

=====

[2]
Computed, not measured: a geometry-optimized Cu3O2 structure at the PBE level of DFT.

* energy of formation from the pure elements: -0.603 eV/atom
* crystal system: tetragonal
* uncorrected energy: -0.35040 Ry/atom
* magnetic moment: 0.00 μB/f.u.

Lattice parameters (Å, degrees): 4.6562 4.6562 4.6562 128.50 128.50 75.82
Positions (direct):
Cu 0.0000 0.0000 0.0000
Cu 0.2500 0.7500 0.5000
Cu 0.7500 0.2500 0.5000
O 0.0000 0.5000 0.5000
O 0.5000 0.0000 0.5000

=====

- The highest uncorrected energy belongs to which entry?
  Cu3O2

=====

A plane-wave DFT calculation with PBE with a Hubbard U was carried out for crystalline Li4MnCo2O7 at its relaxed geometry.

The structure in extended XYZ format:
```
28
Lattice="9.796 -1.465 0.000 9.796 1.465 0.000 -4.302 0.000 8.787" Properties=species:S:1:pos:R:3 pbc="T T T"
-- stop --
[The text goes on]
fromVisit a remote section of the Green River on this spectacular self-supported, multi-sport adventure!
This amazing journey into the Green River wilderness combines mountain bikes and packrafts to travel through terrain that otherwise requires multiple days to access. This unique adventure is an excellent way to spend a long, full day in a remote area that not many people get to explore!
Reviews 2 Reviews5/5
Vacation Style Holiday Type
Activity Level Moderate/Difficult
== What comes next are materials data, not part of the text ==
# SrBi5O9

A geometry-optimized SrBi5O9 structure (GGA-PBE, the Materials Project).

Results
- Crystal system: triclinic
- ΔE_f: -1.778 eV/atom
- Offset from the most stable computed form: 0.000 eV per atom
- Symmetry: P1, No. 1
- DFT total energy: -86.2 eV per cell
- Volume: 271.6 Å³ per cell

Unit cell a=4.066 b=6.895 c=9.997 alpha=98.18 beta=101.61 gamma=90.08
Sites, in units of the cell vectors:
Bi: 0.179 0.417 0.318
O: 0.470 0.149 0.897
Sr: 0.027 0.001 0.012
Bi: 0.364 0.102 0.683
O: 0.358 0.434 0.664
Bi: 0.862 0.604 0.674
Bi: 0.679 0.876 0.331
O: 0.864 0.940 0.684
O: 0.223 0.738 0.400
O: 0.575 0.833 0.112
O: 0.188 0.093 0.307
O: 0.653 0.517 0.267
O: 0.972 0.638 0.888
Bi: 0.522 0.503 0.013
O: 0.069 0.380 0.097

# SrBi2O4

A geometry-optimized SrBi2O4 structure (GGA-PBE, the Materials Project).

Results
- Crystal system: monoclinic
- ΔE_f: -2.111 eV/atom
- Symmetry: C2/m, No. 12
- DFT total energy: -82.6 eV per cell
- Volume: 284.1 Å³ per cell

Unit cell a=10.369 b=10.369 c=6.440 alpha=83.19 beta=83.19 gamma=24.42
Sites, in units of the cell vectors:
Bi: 0.901 0.901 0.841
Bi: 0.586 0.586 0.723
O: 0.902 0.902 0.180
O: 0.409 0.409 0.941
Sr: 0.759 0.759 0.254
O: 0.098 0.098 0.820
Bi: 0.414 0.414 0.277
O: 0.315 0.315 0.403
Sr: 0.241 0.241 0.746
O: 0.799 0.799 0.864
O: 0.591 0.591 0.059
Bi: 0.099 0.099 0.159
O: 0.685 0.685 0.597
O: 0.201 0.201 0.136

# SrBi5O9

A geometry-optimized SrBi5O9 structure (GGA-PBE, the Materials Project).

Results
- Crystal system: triclinic
- ΔE_f: -1.761 eV/atom
- Offset from the most stable computed form: 0.017 eV per atom
- Symmetry: P1, No. 1
- DFT total energy: -85.9 eV per cell
- Volume: 286.3 Å³ per cell

Unit cell a=3.903 b=7.008 c=10.702 alpha=97.10 beta=99.68 gamma=89.87
Sites, in units of the cell vectors:
O: 0.051 0.366 0.098
O: 0.645 0.224 0.295
O: 0.374 0.816 0.701
O: 0.456 0.157 0.899
Bi: 0.368 0.125 0.695
O: 0.961 0.652 0.899
Bi: 0.651 0.894 0.314
O: 0.155 0.725 0.325
Bi: 0.494 0.494 0.977
O: 0.558 0.846 0.115
O: 0.396 0.450 0.751
Bi: 0.145 0.393 0.298
Sr: 0.007 0.997 0.008
O: 0.831 0.160 0.614
Bi: 0.857 0.613 0.696

# Sr6Bi2O11

A geometry-optimized Sr6Bi2O11 structure (GGA-PBE, the Materials Project).

Results
- Crystal system: monoclinic
- ΔE_f: -2.419 eV/atom
- Offset from the most stable computed form: 0.043 eV per atom
- Symmetry: P2_1/m, No. 11
- DFT total energy: -221.5 eV per cell
- Volume: 655.0 Å³ per cell

Unit cell a=8.583 b=8.618 c=8.856 alpha=89.87 beta=90.00 gamma=90.00
Sites, in units of the cell vectors:
O: 0.250 0.498 0.491
O: 0.503 0.751 0.485
O: 0.750 0.253 0.799
Bi: 0.250 0.749 0.964
Sr: 0.250 0.751 0.578
O: 0.519 0.250 0.119
Sr: 0.487 0.982 0.283
O: 0.497 0.249 0.515
O: 0.750 0.755 0.266
O: 0.481 0.750 0.881
Sr: 0.016 0.513 0.284
Bi: 0.750 0.749 0.499
O: 0.750 0.018 0.111
Sr: 0.250 0.250 0.001
Sr: 0.987 0.018 0.717
O: 0.750 0.997 0.516
Sr: 0.750 0.750 0.999
O: 0.250 0.517 0.885
O: 0.997 0.751 0.485
O: 0.250 0.982 0.889
Sr: 0.984 0.487 0.716
O: 0.981 0.250 0.119
== Here the text continues ==
- Duration: 10 – 12 hours
- Difficulty: Moderate
- Season: Year Round, best in Spring & Summer
- Rapids: None; A very scenic float through an amazing wilderness canyon
- Total Distance: 12mi/19km biking and 9mi/14km of packrafting
- Price:
- 2025 Prices:
- All tours are private
- 2-3 people – $475/person
• Next to the article, the page also holds records of crystals:
=====
1.
An optimized crystal structure of Bi2P3Se9, computed with PBE-GGA.

Calculated values
Theoretical density: 5.05 g cm⁻³
Energy relative to the elements: -0.488 eV per atom
Polymorph energy (0 for the lowest one): 0.0 meV per atom

```
Bi2P3Se9
1.0
-6.554 -3.369 1.987
4.736 -5.402 6.462
1.214 10.176 21.258
P Bi Se
12 8 36
Cartesian
-5.352 0.017 9.887
1.705 -2.007 3.851
1.671 -4.969 9.940
-1.122 0.076 21.128
-0.236 1.771 15.253
-0.087 5.793 19.575
0.518 1.329 8.579
-2.275 6.374 19.767
-0.517 -4.388 10.132
4.748 1.388 19.820
-0.368 -0.366 14.454
-2.309 3.412 25.856
2.100 -2.984 14.039
4.872 3.217 24.012
-2.246 -0.860 11.360
-5.476 -1.812 5.695
1.642 2.265 18.347
-2.704 4.389 15.668
-2.426 3.824 22.228
1.823 -2.418 7.479
0.919 7.689 20.229
-2.536 -0.734 14.167
2.191 2.826 25.056
1.932 2.139 15.540
0.448 -0.904 2.393
-4.741 2.355 16.054
-0.227 1.113 22.849
-1.052 2.309 27.314
-3.535 -4.040 6.997
-1.523 -6.284 9.478
2.734 -3.153 10.624
0.501 -0.468 19.678
3.830 0.523 17.990
-0.958 -4.038 12.258
-4.434 0.882 11.717
1.945 -5.222 7.749
0.354 5.444 17.449
-1.354 1.856 17.149
0.213 4.021 20.887
-2.909 1.085 20.267
2.931 5.445 22.710
-1.129 4.765 24.553
0.525 -3.360 5.153
4.137 -0.950 13.653
-3.776 -0.443 8.403
-1.127 3.062 13.683
-0.817 -2.616 8.820
-2.549 6.627 21.958
-1.105 1.873 10.029
0.751 -0.451 12.558
-0.377 0.292 6.858
-2.795 -1.420 4.651
3.173 1.848 21.304
2.306 0.321 9.440
-3.338 4.558 19.083
0.523 -1.657 16.024
```

2.
An optimized crystal structure of Bi2P3Se9, computed with PBE-GGA.

Calculated values
Theoretical density: 5.13 g cm⁻³
Energy relative to the elements: -0.485 eV per atom
Polymorph energy (0 for the lowest one): 3.9 meV per atom

```
Bi2P3Se9
1.0
-1.691 -4.454 5.090
11.285 1.907 4.945
-7.849 13.679 9.193
P Se Bi
12 36 8
Cartesian
-3.666 4.882 7.088
-4.292 10.652 8.153
1.941 6.718 6.782
-0.195 4.414 12.445
0.506 0.514 5.693
-0.985 10.179 13.587
-6.555 8.326 13.750
2.730 0.954 5.640
8.301 2.807 5.477
6.037 0.481 11.074
5.412 6.251 12.140
1.239 10.619 13.534
-0.873 5.381 10.522
4.992 6.066 14.312
0.234 -1.387 4.629
1.631 5.363 13.189
6.496 1.799 4.699
-7.418 9.211 11.905
6.175 4.805 7.514
0.114 5.770 6.038
-0.300 2.327 4.701
-2.017 11.959 12.759
4.405 8.083 11.403
-4.751 9.334 14.529
-1.345 8.308 12.396
3.090 2.825 6.832
2.045 8.806 14.526
5.151 4.356 11.038
2.619 5.751 8.705
1.692 10.632 11.361
-1.607 9.922 15.701
8.322 -1.355 9.126
-3.332 -0.494 6.861
1.976 2.438 10.485
3.352 1.210 3.526
-6.576 12.488 10.101
-3.406 6.777 8.190
-2.659 3.049 7.825
1.512 12.520 14.598
-3.246 5.067 4.915
5.297 1.348 9.198
-0.230 8.695 8.743
3.762 -0.826 6.468
5.078 11.627 12.366
9.163 1.922 7.322
0.054 0.501 7.866
-4.429 6.328 11.713
-3.552 9.785 10.029
7.823 4.193 9.909
1.584 9.467 17.625
2.940 -0.558 9.141
0.162 1.666 1.602
-6.078 6.940 9.318
1.151 7.474 11.091
-1.194 11.691 10.086
0.595 3.658 8.137
```

3.
An optimized crystal structure of TlBiP2Se6, computed with PBE-GGA.

Calculated values
Theoretical density: 5.52 g cm⁻³
=====
- 4+ people – $450/person
The “Pedal, Paddle, Pedal” is destined to become one of the most classic mountain biking and packrafting trips in the West. The legendary Green River and its beautiful side canyons provide both a peaceful and exciting venue for this unforgettable day of exploring some very remote backcountry.
Our day starts bright and early with a very enjoyable downhill mountain bike ride along the mesa top high above the Green River gorge. Easy, carefree pedaling soon leads to the rim of Spring Canyon, a very deep and rugged tributary of the Green. A spectacular dirt road carved into the sheer walls of Spring Canyon switchback down, down, down into the depths of one of the prettiest canyons around Moab.
This old road was blasted out over 50 years ago to access the rich deposits of uranium located in the lower end of the canyon. The mine sites have long since been abandoned and the dead-end road largely forgotten. Solitude, peace and quiet reign down here. The road rolls and weaves gently along the canyon floor amidst tall stands of cottonwood trees and sheer 500 foot high sandstone walls.
The awe-inspiring scenery often steals our attention away from the task of watching the road ahead!
The exhilarating downhill ride quickly brings us to the lonely junction of Spring Canyon and the Green River. It’s here where we enter the magnificent Labyrinth Canyon carved by the Green River. The road veers to follow along the river’s edge downstream for another couple of miles.
Lush (by desert standards!), pastoral expanses of sagebrush meadows along the river provide scentful, bucolic riding. In many ways the ride down Spring Canyon and along the river is reminiscent of sections of the nearby – and more famous – White Rim Trail in Canyonlands National Park. Soon we reach the road’s terminus and prepare for the next chapter of our journey.
At road’s end we’ll get off the bikes and relax a bit in this calm canyon setting. Taking the rolled up packrafts and disassembled paddles out of our backpacks seems an unlikely step here. While most folks are familiar with mountain biking, not many are familiar with packrafting. After all, who mountain bikes with rafts in their packs!?
The unique brilliance of this trip really begins to take shape here as we inflate our rafts on a sandy bench by the river. We’ll spend some time here discussing the fine art of mountain bike packrafting; how the boats inflate, how to lash the bikes to the raft and how to get in, get out and get on with our river journey.
It’s such a simple and beautiful thing, so much so you’ll probably want to order up one of these boats as soon as you get home!
Floating peacefully down the Green River now, we’ll look an odd sight. With bike frames, stacked wheels and backpacks strapped high on the front of our rafts you may wonder how this awkward combo can be stable on the water. The wonderful thing about your raft’s unlikely cargo is that it actually helps to balance the packraft.
These boats are so light that the bike’s weight on the bow nicely offsets your body’s weight, which is predominantly situated at the stern. These boats actually perform better when burdened with your bike! Several lazy river miles lay between us and the nearest road downriver – nine to be exact.
Within those miles is some of the most incredible, true wilderness scenery Labyrinth Canyon has to offer. There are no roads to be found, no noisy vehicles or crowds. Just quiet wilderness. Several beautiful side canyons flow into the Green, including Two Mile and Horseshoe. Precarious towers of sandstone soar high above us on either side.
I’m gonna stop describing things here, because – simply put – it’s next to impossible to find the words to describe the surrounding beauty.
As the day progresses, the changing shadows on the canyon walls become our timepiece. Without a care, we’ll eventually find ourselves rounding the bend with the gaping mouth of Hellroaring Canyon coming into view. Two massive isolated towers of sandstone stand guard at its entrance.
A faint jeep road along the river’s edge is barely discernible here. We’ll ferry over to solid ground and pull our boats up the sandy riverbank. In no time we’ll have our wheels back on the bikes, rafts rolled and stowed and on our merry mountain biking way on our last leg of the journey. But not without a stop at one of the more interesting historic inscriptions found on any of the miles of sandstone cliffs in southern Utah. Denis Julian, a French fur trapper, etched his name along with a curious image of a sailboat near the mouth of Hellroaring Canyon.
Of course, there are many such etchings found in the southwest. The mysterious, ubiquitous images of the Anasazi culture, over a thousand years old, are found all over the area. And evidence of the early pioneers who scratched a living, and their names, along these canyon walls are sprinkled here and there.
But Denis Julian was special. His inscription is dated 1836, long after the Anasazi abandoned the area and long before the Mormon pioneers arrival. Who was this man? Many think that he was the first white man to visit this area.
Perhaps the distinction is important to only a handful of regional historians, but it’s just one more fascinating mystery still unsolved in the history of exploration of the American West.
A few fun miles of riding down this trail soon leads to our journey’s end at Mineral Bottom. Still within the massive depths of Labyrinth Canyon, this is where we meet our shuttle vehicle and enjoy, in the comfort of our van, a truly spectacular ascent of the Mineral switchbacks.
Yet another product of the uranium mining boom days of the 1940’s, these switchbacks lead us out of the confines of Labyrinth Canyon and back to a well-deserved shower and beverages in Moab.
In retrospect you’ll find it very difficult to define which segment of the day was the highlight. Each segment of this amazing journey – the descent down Spring Canyon, the riverside riding, the Green River float, the Hell-roaring Canyon trail – would be an incredible day on its own.
Put together, however – and astonishingly all in a day’s time – these segments collectively make up one of the finest adventures you’ll experience…
- All biking gear, boating gear and safety equipment
- Instruction from experienced and fun guides
- Transportation to and from the canyon and river
- Splash gear and wetsuits (weather depending)
- Drybags to keep phones, cameras, etc dry
- Private tour – just your group plus your guide(s)!
- Lunch and snacks – please bring enough food to be out and active for 10-12 hours
- Water – we recommend between 2 and 3 liters of water per person
- You’re welcome to leave snacks and water in the vehicle for the ride back to Moab.
Please refer to our Frequently Asked Questions page for more information
Packrafting and Biking
Bikepack Packrafting
Pedal Paddle Pedal Packrafting and Biking
My son-in-law did this trip with Herb last summer. The trip started with an early morning ride through the desert and down into a steep canyon to the river. We broke down our bikes and inflated our packrafts - attached the bikes and floated for 6 hours through beautiful canyons. After our float, we reassembled our bikes and rode to the van. We both loved it. Great scenery, ride and float - we never saw another person all day. Herb is a great guide, very knowledgeable and made our adventure memorable.
This was the coolest thing we did in Moab! Our group of 4 wanted to do something a little different. We are SO glad we did! Unique trip, awesome and knowledgeable guides. The scenery was spectacular. This trip is so cool!